'''
(1)
The following is a DFT calculation (PBE-GGA) of a relaxed structure of LiNiI.

Cell: 5.0689 7.4234 6.1545 Å, 90.00 90.00 90.00°
Sites, in units of the cell vectors:
Li: 0.0023 0.2500 0.1092
Li: 0.4977 0.7500 0.6092
Li: 0.5023 0.2500 0.3908
Li: 0.9977 0.7500 0.8908
Ni: 0.2491 0.7500 0.2493
Ni: 0.2509 0.2500 0.7493
Ni: 0.7491 0.7500 0.2507
Ni: 0.7509 0.2500 0.7507
I: 0.0000 0.0000 0.5000
I: 0.0000 0.5000 0.5000
I: 0.5000 0.0000 0.0000
I: 0.5000 0.5000 0.0000

Output
Volume: 19.30 Å³ per atom
Space-group type: No. 62
Formation energy from raw total energies: -0.0668 eV/atom
Energy: -3.149 eV/atom
Energy above the lowest structure with this stoichiometry: 0.594 eV per formula unit
Density of states at the Fermi level: 5.50 states/eV per cell


(2)
The following is a DFT calculation (PBE-GGA) of a relaxed structure of TaIn2Ir.

Cell: 3.0629 3.0629 7.8882 Å, 90.00 90.00 90.00°
Sites, in units of the cell vectors:
Ta: 0.0000 0.0000 0.0000
In: 0.5000 0.5000 0.2721
In: 0.5000 0.5000 0.7279
Ir: 0.0000 0.0000 0.5000

Output
Calculated formation energy: 0.132 eV/atom
Volume: 18.50 Å³ per atom
Space-group type: No. 123
Energy: -6.416 eV/atom
Energy above the lowest structure with this stoichiometry: 1.036 eV per formula unit
Density of states at the Fermi level: 2.03 states/eV per cell


(3)
The following is a DFT calculation (PBE-GGA) of a relaxed structure of ZrBr2Cl.

Cell: 7.4826 7.4826 6.4572 Å, 115.32 115.32 27.14°
Sites, in units of the cell vectors:
Zr: 0.0000 0.0000 0.0000
Br: 0.3560 0.3560 0.9814
Br: 0.6441 0.6441 0.2663
Cl: 0.9997 0.9997 0.6365

Output
Volume: 37.02 Å³ per atom
Space-group type: No. 8
Formation energy from raw total energies: -1.3765 eV/atom
Energy: -4.812 eV/atom
Energy above the lowest structure with this stoichiometry: 0.167 eV per formula unit
Density of states at the Fermi level: 1.54 states/eV per cell


(4)
The following is a DFT calculation (PBE-GGA) of a relaxed structure of TaMoW2.

Cell: 5.8173 5.8173 5.8173 Å, 102.55 102.55 124.44°
Sites, in units of the cell vectors:
Ta: 0.0000 0.0000 0.0000
Ta: 0.7500 0.2500 0.5000
Mo: 0.2500 0.7500 0.5000
Mo: 0.5000 0.5000 0.0000
W: 0.1403 0.1250 0.5153
W: 0.3750 0.8597 0.9847
W: 0.6097 0.6250 0.4847
W: 0.8750 0.3903 0.0153

Output
Calculated formation energy: 0.891 eV/atom
Volume: 17.96 Å³ per atom
Space-group type: No. 122
Energy: -11.256 eV/atom
Energy above the lowest structure with this stoichiometry: 4.091 eV per formula unit
Density of states at the Fermi level: 6.90 states/eV per cell


(5)
The following is a DFT calculation (PBE-GGA) of a relaxed structure of AgTeP4.

Cell: 5.8673 5.8673 5.8673 Å, 60.00 60.00 60.00°
Sites, in units of the cell vectors:
Ag: 0.0000 0.0000 0.0000
Te: 0.2500 0.2500 0.2500
P: 0.0347 0.6551 0.6551
P: 0.6551 0.0347 0.6551
P: 0.6551 0.6551 0.0347
P: 0.6551 0.6551 0.6551

Output
Volume: 23.80 Å³ per atom
Space-group type: No. 216
Formation energy from raw total energies: 0.5215 eV/atom
Energy: -4.084 eV/atom
Density of states at the Fermi level: 3.84 states/eV per cell


(6)
The following is a DFT calculation (PBE-GGA) of a relaxed structure of ZrNpPa.

Cell: 5.8767 5.8767 5.8767 Å, 144.40 144.40 51.23°
Sites, in units of the cell vectors:
Zr: 0.0000 0.0000 0.0000
Np: 0.6754 0.6754 0.0000
Pa: 0.3104 0.3104 0.0000

Output
Calculated formation energy: 0.288 eV/atom
Volume: 22.80 Å³ per atom
Space-group type: No. 107
Energy: -10.040 eV/atom
Energy above the lowest structure with this stoichiometry: 0.000 eV per formula unit
Density of states at the Fermi level: 8.43 states/eV per cell


(7)
The following is a DFT calculation (PBE-GGA) of a relaxed structure of TbNd2Tm4Th.

Cell: 5.0749 5.0749 9.8813 Å, 90.00 90.00 90.00°
Sites, in units of the cell vectors:
Tb: 0.0000 0.0000 0.0000
Nd: 0.0000 0.0000 0.5000
Nd: 0.5000 0.5000 0.0000
Tm: 0.0000 0.5000 0.2531
Tm: 0.0000 0.5000 0.7469
Tm: 0.5000 0.0000 0.2531
Tm: 0.5000 0.0000 0.7469
Th: 0.5000 0.5000 0.5000

Output
Calculated formation energy: 0.031 eV/atom
Volume: 31.81 Å³ per atom
'''

The reader should copy the whole of the notes further up character by character.

(1)
The following is a DFT calculation (PBE-GGA) of a relaxed structure of LiNiI.

Cell: 5.0689 7.4234 6.1545 Å, 90.00 90.00 90.00°
Sites, in units of the cell vectors:
Li: 0.0023 0.2500 0.1092
Li: 0.4977 0.7500 0.6092
Li: 0.5023 0.2500 0.3908
Li: 0.9977 0.7500 0.8908
Ni: 0.2491 0.7500 0.2493
Ni: 0.2509 0.2500 0.7493
Ni: 0.7491 0.7500 0.2507
Ni: 0.7509 0.2500 0.7507
I: 0.0000 0.0000 0.5000
I: 0.0000 0.5000 0.5000
I: 0.5000 0.0000 0.0000
I: 0.5000 0.5000 0.0000

Output
Volume: 19.30 Å³ per atom
Space-group type: No. 62
Formation energy from raw total energies: -0.0668 eV/atom
Energy: -3.149 eV/atom
Energy above the lowest structure with this stoichiometry: 0.594 eV per formula unit
Density of states at the Fermi level: 5.50 states/eV per cell


(2)
The following is a DFT calculation (PBE-GGA) of a relaxed structure of TaIn2Ir.

Cell: 3.0629 3.0629 7.8882 Å, 90.00 90.00 90.00°
Sites, in units of the cell vectors:
Ta: 0.0000 0.0000 0.0000
In: 0.5000 0.5000 0.2721
In: 0.5000 0.5000 0.7279
Ir: 0.0000 0.0000 0.5000

Output
Calculated formation energy: 0.132 eV/atom
Volume: 18.50 Å³ per atom
Space-group type: No. 123
Energy: -6.416 eV/atom
Energy above the lowest structure with this stoichiometry: 1.036 eV per formula unit
Density of states at the Fermi level: 2.03 states/eV per cell


(3)
The following is a DFT calculation (PBE-GGA) of a relaxed structure of ZrBr2Cl.

Cell: 7.4826 7.4826 6.4572 Å, 115.32 115.32 27.14°
Sites, in units of the cell vectors:
Zr: 0.0000 0.0000 0.0000
Br: 0.3560 0.3560 0.9814
Br: 0.6441 0.6441 0.2663
Cl: 0.9997 0.9997 0.6365

Output
Volume: 37.02 Å³ per atom
Space-group type: No. 8
Formation energy from raw total energies: -1.3765 eV/atom
Energy: -4.812 eV/atom
Energy above the lowest structure with this stoichiometry: 0.167 eV per formula unit
Density of states at the Fermi level: 1.54 states/eV per cell


(4)
The following is a DFT calculation (PBE-GGA) of a relaxed structure of TaMoW2.

Cell: 5.8173 5.8173 5.8173 Å, 102.55 102.55 124.44°
Sites, in units of the cell vectors:
Ta: 0.0000 0.0000 0.0000
Ta: 0.7500 0.2500 0.5000
Mo: 0.2500 0.7500 0.5000
Mo: 0.5000 0.5000 0.0000
W: 0.1403 0.1250 0.5153
W: 0.3750 0.8597 0.9847
W: 0.6097 0.6250 0.4847
W: 0.8750 0.3903 0.0153

Output
Calculated formation energy: 0.891 eV/atom
Volume: 17.96 Å³ per atom
Space-group type: No. 122
Energy: -11.256 eV/atom
Energy above the lowest structure with this stoichiometry: 4.091 eV per formula unit
Density of states at the Fermi level: 6.90 states/eV per cell


(5)
The following is a DFT calculation (PBE-GGA) of a relaxed structure of AgTeP4.

Cell: 5.8673 5.8673 5.8673 Å, 60.00 60.00 60.00°
Sites, in units of the cell vectors:
Ag: 0.0000 0.0000 0.0000
Te: 0.2500 0.2500 0.2500
P: 0.0347 0.6551 0.6551
P: 0.6551 0.0347 0.6551
P: 0.6551 0.6551 0.0347
P: 0.6551 0.6551 0.6551

Output
Volume: 23.80 Å³ per atom
Space-group type: No. 216
Formation energy from raw total energies: 0.5215 eV/atom
Energy: -4.084 eV/atom
Density of states at the Fermi level: 3.84 states/eV per cell


(6)
The following is a DFT calculation (PBE-GGA) of a relaxed structure of ZrNpPa.

Cell: 5.8767 5.8767 5.8767 Å, 144.40 144.40 51.23°
Sites, in units of the cell vectors:
Zr: 0.0000 0.0000 0.0000
Np: 0.6754 0.6754 0.0000
Pa: 0.3104 0.3104 0.0000

Output
Calculated formation energy: 0.288 eV/atom
Volume: 22.80 Å³ per atom
Space-group type: No. 107
Energy: -10.040 eV/atom
Energy above the lowest structure with this stoichiometry: 0.000 eV per formula unit
Density of states at the Fermi level: 8.43 states/eV per cell


(7)
The following is a DFT calculation (PBE-GGA) of a relaxed structure of TbNd2Tm4Th.

Cell: 5.0749 5.0749 9.8813 Å, 90.00 90.00 90.00°
Sites, in units of the cell vectors:
Tb: 0.0000 0.0000 0.0000
Nd: 0.0000 0.0000 0.5000
Nd: 0.5000 0.5000 0.0000
Tm: 0.0000 0.5000 0.2531
Tm: 0.0000 0.5000 0.7469
Tm: 0.5000 0.0000 0.2531
Tm: 0.5000 0.0000 0.7469
Th: 0.5000 0.5000 0.5000

Output
Calculated formation energy: 0.031 eV/atom
Volume: 31.81 Å³ per atom